Sixth Sunday in Ordinary Time at Mississippi Abbey
Scripture Readings: Jer 17:5-8; 1 Cor 15:12, 16-20; Lk 6:17, 20-26
(Attached: quantum chemistry results)
=====
(1)
Molecular formula: C3H3N3O3
Method: DFT, wB97M-V/def2-TZVPD

Computed properties:
SMILES: [H]/N=c1/ncn(O)oc1=O
Lowest unoccupied orbital energy in eV: -0.6
HOMO-LUMO gap in eV: 9.83
HOMO energy in eV: -10.411
Spin multiplicity: 1

Structure (XYZ):
```
12
Properties=species:S:1:pos:R:3:mulliken_charge:R:1
C -0.7499 1.1858 -0.3107 0.025
C 1.3451 0.3539 0.1185 0.295
C 0.8104 -1.0100 0.0818 0.784
H -3.0730 -0.7316 0.1347 0.372
H -1.3939 1.9595 -0.6505 0.414
H 2.9534 -0.3871 0.6807 0.304
N -1.3685 0.0204 0.2345 0.034
N 0.5072 1.3567 -0.3676 -0.433
N 2.5360 0.5322 0.4644 -0.605
O -2.5506 -0.1886 -0.4528 -0.385
O 1.4702 -1.9973 0.2979 -0.564
O -0.4864 -1.0940 -0.2310 -0.242
```

=====

(2)
Molecular formula: C3H3N3O3
Method: DFT, wB97M-V/def2-TZVPD

Computed properties:
Lowest unoccupied orbital energy (alpha / beta) in eV: -1.9 / -2.5
HOMO-LUMO gap (alpha / beta) in eV: 8.05 / 7.33
HOMO energy (alpha / beta) in eV: -9.995 / -9.842
Spin multiplicity: 1

Structure (XYZ):
```
12
Properties=species:S:1:pos:R:3:mulliken_charge:R:1
C 0.7801 -0.2693 1.3597 -0.170
C 0.8393 0.7116 0.0307 0.661
C -0.2055 0.4643 -0.8412 -0.568
N -0.1963 -1.0625 1.5050 -0.169
N -1.0639 -1.2667 0.6687 -0.071
N -2.1017 -2.1487 0.6359 0.946
O 1.7425 1.5242 0.1426 -0.486
O -2.5965 -2.3417 -0.4603 -0.594
O -2.4954 -2.6420 1.6512 -0.560
H 1.5030 -0.2700 2.1714 0.420
H -1.0204 1.1799 -1.1180 0.299
H -0.2531 -0.3475 -1.5576 0.292
```

=====

(3)
Molecular formula: C3H3N3OS
Method: DFT, wB97M-V/def2-TZVPD

Computed properties:
SMILES: [H]/N=C(/C#N)N(S)C=O
Lowest unoccupied orbital energy in eV: -0.5
HOMO-LUMO gap in eV: 9.16
HOMO energy in eV: -9.626
Spin multiplicity: 1

Structure (XYZ):
```
11
Properties=species:S:1:pos:R:3:mulliken_charge:R:1
C 1.4972 0.4483 0.0158 0.173
C -0.9903 0.3864 -0.0536 0.803
C -2.0615 -0.5833 -0.0148 0.013
H 1.7285 -1.9300 0.0630 0.212
H 1.3759 1.5361 0.0741 0.163
H -0.4834 2.2047 0.0417 0.229
N 0.2875 -0.2396 -0.0132 -0.004
N -1.2863 1.5922 -0.0394 -0.573
N -2.9946 -1.2619 -0.0027 -0.336
O 2.5617 -0.1367 -0.0437 -0.538
S 0.3653 -2.0160 -0.0271 -0.143
```

=====

(4)
Molecular formula: C3H3N3OS
Method: DFT, wB97M-V/def2-TZVPD

Computed properties:
SMILES: [H]/N=C(/C#N)N(S)C=O
Lowest unoccupied orbital energy in eV: -0.7
HOMO-LUMO gap in eV: 8.93
HOMO energy in eV: -9.585
Spin multiplicity: 1

Structure (XYZ):
```
11
Properties=species:S:1:pos:R:3:mulliken_charge:R:1
C -0.1111 -1.5210 -0.3310 0.077
C 0.6979 0.7055 0.2901 0.857
C 0.2055 2.0924 0.5775 0.034
H -2.4388 -0.4948 -0.7557 0.160
H 0.8524 -1.9863 -0.1764 0.204
H 2.1517 -0.6146 0.1757 0.230
N -0.3269 -0.1447 -0.1837 0.027
N 1.9010 0.3868 0.5969 -0.607
N -0.0327 3.2063 0.9303 -0.360
O -1.0334 -2.2285 -0.7167 -0.516
S -1.8656 0.5990 -0.4071 -0.108
```

=====

(5)
Molecular formula: C3H3N3OS
Method: DFT, wB97M-V/def2-TZVPD

Computed properties:
Lowest unoccupied orbital energy in eV: -0.5
HOMO-LUMO gap in eV: 9.21
HOMO energy in eV: -9.732
Spin multiplicity: 1

Structure (XYZ):
```
11
=====
As a young man fresh out of college, unchurched, and working and dating, I often used the lyrics of popular songs as inspiration in place of scripture. I recall one song from that time that spoke to me. It said, “Late at night, the big old house gets lonely; I guess every form of refuge has its price.” Jeremiah and Jesus say that today. And St. Paul gives us the specifics.
What the lyrics and the readings tell us is that INTENTION is very important to the kind of person we become. It forms the second of two aims of our hearts: to avoid a break; and so it forms where we seek refuge. The secular term for what it forms is “character”; the spiritual term is “sanctification”. Intentions form our choosing, and choosing is more specifically what the lyrics and today’s readings are about. St. Paul tells us that the choice is specifically whether to believe in the resurrection of Christ and from there in the promise of our own resurrection.
That belief is the foundation of our intention, our intention to become a Christian rather than something else; to live one way rather than another. That intention will make us a certain kind of person, rather than some other kind. Consequently, we’ll take certain actions rather than others. That intention will put our confidence in—i.e. seek refuge in—God rather than the “strength of flesh” or human beings. And that will constitute our sanctification.
What do we seek refuge from? We seek refuge from being confronted with our inadequacies and consequent dependence on something else; in others words, from humility. Jeremiah says “cursed” is the one who seeks refuge (i.e., protection) in human cleverness, in managing well. Seeking refuge in managing well happens when satisfaction and self-promotion is one’s chief intention. This intention is formed when we forget first principles (i.e., the grand design…and Designer) and think in terms of causes that are close by (who can promote us, who has distressed us). Jeremiah says the price for seeking refuge here is lack of divine nourishment. Eventually hope is dashed.
“Blessed”, Jeremiah says, “is one who trusts in the Lord”, who seeks refuge in the Lord. The price for this can be a “separateness” from those around us, even fellow monastics. That can be very painful. But “separateness” is what the word “holy” means. “Blessed” or “Happy” is not often our first reaction.
The same can be said for Jesus and His “Sermon on the Plain”. The idea of being poor, hungry, weeping, and hated does not make a good first impression. But both men are talking about the object of our faith, hope, and love. These beatitudes are a way of disarming our hearts. Before we can feel “blessed”, we often must feel the “woe” of being rich in some respect, full and satisfied, merry, and well thought of by those who trust in themselves and others. (Our hearts are well-guarded!) When we have “wrung-out” the things of this world, when we have sought refuge in them and ended up woeful, we are ready to feel blessed by nothing more than the presence of God.
But first, Jesus says, we must disarm our hearts so they can pursue the first aim of the heart: to unite with what it loves.
Perhaps the great challenge in all of this is the one St. Paul alerts us to. The refuge we seek for being poor, hungry, weeping, and hated comes in the next life. That is part of the price we pay for seeking refuge in the Lord. It separates us from non-believers. “Your reward will be great in heaven.” Jesus says. We have to wait. Then we will be united with what we love.
That is why Paul emphasizes faith in the resurrection of Christ and thereby our own resurrection. It is not belief in the resurrection as an event, but in the One who raised Jesus and has promised to raise us. The Christian life is not primarily a task to be accomplished, or an ideal to be achieved. It is a fact to be lived out. Living with that intention is a gift and it sanctifies.
If you count all the verses before and after this one we chanted at Lauds this morning, you will find that this one is at the very center of the bible. Remember this: “It is better to take refuge in the Lord, than to trust in humans” (Ps. 117 [118] .8).